• Work order:
Next, repeat all of the data underneath unchanged.
• Input:
********
Below is 12 unconnected molecules or ions with the total composition C28H72F6O14, with properties calculated with the ωB97M-V functional and the def2-TZVPD basis.

The maximum force comes out at 3.6 eV/Å. Its total energy is -2762.48944 a.u. Its charge is -2. The calculation puts the HOMO energy at -2.125 eV. Its LUMO energy is 3.187 eV.

```
120
Properties=species:S:1:pos:R:3:lowdin_charge:R:1
C 2.00 0.84 -0.61 -0.442
O 1.09 0.26 0.35 -0.104
O 3.18 0.90 0.02 -0.162
C 2.00 0.15 -2.03 -0.516
F 2.84 -0.90 -2.09 0.114
F 0.78 -0.37 -2.37 0.078
F 2.29 1.02 -2.99 0.140
C -0.30 0.41 0.20 -0.263
C -0.96 -0.48 1.25 -0.050
H -2.00 -0.34 1.51 0.048
H -0.77 -1.52 0.96 0.069
H -0.44 -0.35 2.21 0.067
H -0.66 0.05 -0.78 0.102
H -0.70 1.42 0.31 0.092
H 1.63 1.86 -0.77 0.144
C -3.02 5.32 1.29 -0.526
O -2.63 4.99 -0.10 -0.112
O -2.77 6.61 1.48 -0.208
C -4.40 4.67 1.42 -0.511
F -5.34 5.16 0.58 0.113
F -4.35 3.31 1.23 0.075
F -4.90 4.77 2.69 0.079
C -1.81 3.87 -0.28 -0.319
C -1.06 4.05 -1.58 -0.085
H -1.70 4.09 -2.47 0.066
H -0.47 4.97 -1.59 0.075
H -0.30 3.29 -1.77 0.052
H -2.48 3.01 -0.43 0.099
H -1.09 3.64 0.51 0.094
H -2.32 4.77 1.96 0.125
C -4.63 -0.07 0.53 -0.071
C -4.65 -1.16 -0.53 -0.299
O -3.39 -1.85 -0.59 -0.098
H -5.59 0.44 0.57 0.086
H -3.79 0.61 0.36 0.071
H -4.35 -0.49 1.50 0.040
H -4.83 -0.72 -1.52 0.101
H -5.50 -1.80 -0.28 0.112
H -3.52 -2.28 -1.46 0.030
C -2.71 -0.80 -3.64 -0.075
C -3.71 -1.91 -3.95 -0.284
O -3.37 -3.07 -3.19 -0.092
H -1.70 -1.04 -3.98 0.075
H -2.73 -0.46 -2.61 0.063
H -2.89 0.10 -4.25 0.081
H -3.62 -2.18 -5.00 0.108
H -4.74 -1.55 -3.83 0.105
H -3.05 -3.78 -3.75 0.093
C 0.56 -4.98 -2.41 -0.086
C -0.05 -3.76 -1.75 -0.330
O -1.11 -4.01 -0.86 -0.068
H -0.23 -5.65 -2.77 0.067
H 1.18 -5.64 -1.80 0.067
H 1.16 -4.58 -3.23 0.066
H -0.31 -3.13 -2.61 0.100
H 0.74 -3.21 -1.22 0.099
H -1.81 -3.37 -0.99 0.038
C 4.47 -0.95 -5.70 -0.089
C 4.19 -2.19 -4.87 -0.297
O 5.40 -2.94 -5.01 -0.104
H 4.76 -1.15 -6.74 0.067
H 5.34 -0.38 -5.38 0.060
H 3.65 -0.25 -5.91 0.071
H 3.40 -2.85 -5.26 0.103
H 3.90 -2.08 -3.82 0.091
H 5.28 -3.81 -4.61 0.075
C 1.87 -2.88 2.97 -0.085
C 2.11 -3.46 1.58 -0.321
O 3.13 -2.72 0.95 -0.077
H 1.71 -1.81 2.93 0.067
H 2.71 -2.98 3.66 0.067
H 0.99 -3.41 3.37 0.064
H 1.14 -3.32 1.08 0.087
H 2.38 -4.52 1.56 0.104
H 2.83 -1.96 0.44 0.065
C -4.16 1.35 4.65 -0.068
C -3.65 -0.05 4.94 -0.298
O -4.57 -1.00 4.42 -0.097
H -5.00 1.53 5.33 0.076
H -4.31 1.54 3.59 0.069
H -3.46 2.13 4.96 0.073
H -3.49 -0.23 6.00 0.114
H -2.64 -0.24 4.56 0.106
H -4.73 -0.84 3.49 0.061
C 6.52 -0.07 -2.55 -0.100
C 6.64 0.87 -1.40 -0.358
O 5.92 0.45 -0.27 -0.076
H 5.45 -0.20 -2.75 0.058
H 6.98 -1.06 -2.51 0.075
H 6.88 0.40 -3.48 0.066
H 6.53 1.94 -1.63 0.097
H 7.72 0.86 -1.17 0.102
H 4.96 0.50 -0.46 0.044
C -0.12 2.64 4.45 -0.086
C 0.58 2.57 3.08 -0.320
O 1.37 1.41 3.11 -0.078
H 0.64 2.57 5.23 0.065
H -0.70 1.72 4.55 0.053
H -0.67 3.58 4.54 0.070
H 1.08 3.53 2.87 0.113
H -0.23 2.50 2.34 0.085
H 1.36 1.06 2.20 0.050
C -3.16 -3.54 2.45 -0.080
C -4.41 -4.13 3.11 -0.285
O -4.29 -3.82 4.52 -0.126
H -3.03 -3.97 1.44 0.065
H -2.25 -3.79 2.98 0.079
H -3.21 -2.48 2.20 0.043
H -4.44 -5.22 3.10 0.101
H -5.33 -3.73 2.67 0.100
H -4.17 -2.85 4.59 0.036
C 6.06 4.97 -0.18 -0.097
C 4.81 4.13 -0.34 -0.352
O 4.78 3.15 0.68 -0.100
H 7.00 4.44 -0.28 0.063
H 5.94 5.29 0.87 0.070
H 5.96 5.86 -0.80 0.061
H 4.77 3.57 -1.29 0.100
H 3.93 4.78 -0.30 0.104
H 4.18 2.41 0.41 0.039
```

* * * * *

# 1
Here is 2 unconnected molecules or ions with the total composition C4H10OS2 from OMol25. Energies are from wB97M-V/def2-TZVPD.

SMILES: C1CSCSC1.O
Relative energy (zero: lowest compared OMol25 entry of this formula, charge and spin): 68.8 kJ/mol
Kohn-Sham gap: 9.49 eV

Geometry as XYZ:
```
17
Properties=species:S:1:pos:R:3:forces:R:3:nbo_charge:R:1
S 1.25482 -0.65982 -0.23371 -0.6 0.6 1.3 0.1836
S -1.51890 -1.90643 -1.12776 0.6 0.0 0.2 0.2317
C 0.25707 -1.60338 -1.39352 0.4 0.5 -1.2 -0.7121
C 0.14600 0.81872 0.02622 1.0 -0.2 -0.3 -0.5112
********
• Written answer:
Below is 12 unconnected molecules or ions with the total composition C28H72F6O14, with properties calculated with the ωB97M-V functional and the def2-TZVPD basis.

The maximum force comes out at 3.6 eV/Å. Its total energy is -2762.48944 a.u. Its charge is -2. The calculation puts the HOMO energy at -2.125 eV. Its LUMO energy is 3.187 eV.

```
120
Properties=species:S:1:pos:R:3:lowdin_charge:R:1
C 2.00 0.84 -0.61 -0.442
O 1.09 0.26 0.35 -0.104
O 3.18 0.90 0.02 -0.162
C 2.00 0.15 -2.03 -0.516
F 2.84 -0.90 -2.09 0.114
F 0.78 -0.37 -2.37 0.078
F 2.29 1.02 -2.99 0.140
C -0.30 0.41 0.20 -0.263
C -0.96 -0.48 1.25 -0.050
H -2.00 -0.34 1.51 0.048
H -0.77 -1.52 0.96 0.069
H -0.44 -0.35 2.21 0.067
H -0.66 0.05 -0.78 0.102
H -0.70 1.42 0.31 0.092
H 1.63 1.86 -0.77 0.144
C -3.02 5.32 1.29 -0.526
O -2.63 4.99 -0.10 -0.112
O -2.77 6.61 1.48 -0.208
C -4.40 4.67 1.42 -0.511
F -5.34 5.16 0.58 0.113
F -4.35 3.31 1.23 0.075
F -4.90 4.77 2.69 0.079
C -1.81 3.87 -0.28 -0.319
C -1.06 4.05 -1.58 -0.085
H -1.70 4.09 -2.47 0.066
H -0.47 4.97 -1.59 0.075
H -0.30 3.29 -1.77 0.052
H -2.48 3.01 -0.43 0.099
H -1.09 3.64 0.51 0.094
H -2.32 4.77 1.96 0.125
C -4.63 -0.07 0.53 -0.071
C -4.65 -1.16 -0.53 -0.299
O -3.39 -1.85 -0.59 -0.098
H -5.59 0.44 0.57 0.086
H -3.79 0.61 0.36 0.071
H -4.35 -0.49 1.50 0.040
H -4.83 -0.72 -1.52 0.101
H -5.50 -1.80 -0.28 0.112
H -3.52 -2.28 -1.46 0.030
C -2.71 -0.80 -3.64 -0.075
C -3.71 -1.91 -3.95 -0.284
O -3.37 -3.07 -3.19 -0.092
H -1.70 -1.04 -3.98 0.075
H -2.73 -0.46 -2.61 0.063
H -2.89 0.10 -4.25 0.081
H -3.62 -2.18 -5.00 0.108
H -4.74 -1.55 -3.83 0.105
H -3.05 -3.78 -3.75 0.093
C 0.56 -4.98 -2.41 -0.086
C -0.05 -3.76 -1.75 -0.330
O -1.11 -4.01 -0.86 -0.068
H -0.23 -5.65 -2.77 0.067
H 1.18 -5.64 -1.80 0.067
H 1.16 -4.58 -3.23 0.066
H -0.31 -3.13 -2.61 0.100
H 0.74 -3.21 -1.22 0.099
H -1.81 -3.37 -0.99 0.038
C 4.47 -0.95 -5.70 -0.089
C 4.19 -2.19 -4.87 -0.297
O 5.40 -2.94 -5.01 -0.104
H 4.76 -1.15 -6.74 0.067
H 5.34 -0.38 -5.38 0.060
H 3.65 -0.25 -5.91 0.071
H 3.40 -2.85 -5.26 0.103
H 3.90 -2.08 -3.82 0.091
H 5.28 -3.81 -4.61 0.075
C 1.87 -2.88 2.97 -0.085
C 2.11 -3.46 1.58 -0.321
O 3.13 -2.72 0.95 -0.077
H 1.71 -1.81 2.93 0.067
H 2.71 -2.98 3.66 0.067
H 0.99 -3.41 3.37 0.064
H 1.14 -3.32 1.08 0.087
H 2.38 -4.52 1.56 0.104
H 2.83 -1.96 0.44 0.065
C -4.16 1.35 4.65 -0.068
C -3.65 -0.05 4.94 -0.298
O -4.57 -1.00 4.42 -0.097
H -5.00 1.53 5.33 0.076
H -4.31 1.54 3.59 0.069
H -3.46 2.13 4.96 0.073
H -3.49 -0.23 6.00 0.114
H -2.64 -0.24 4.56 0.106
H -4.73 -0.84 3.49 0.061
C 6.52 -0.07 -2.55 -0.100
C 6.64 0.87 -1.40 -0.358
O 5.92 0.45 -0.27 -0.076
H 5.45 -0.20 -2.75 0.058
H 6.98 -1.06 -2.51 0.075
H 6.88 0.40 -3.48 0.066
H 6.53 1.94 -1.63 0.097
H 7.72 0.86 -1.17 0.102
H 4.96 0.50 -0.46 0.044
C -0.12 2.64 4.45 -0.086
C 0.58 2.57 3.08 -0.320
O 1.37 1.41 3.11 -0.078
H 0.64 2.57 5.23 0.065
H -0.70 1.72 4.55 0.053
H -0.67 3.58 4.54 0.070
H 1.08 3.53 2.87 0.113
H -0.23 2.50 2.34 0.085
H 1.36 1.06 2.20 0.050
C -3.16 -3.54 2.45 -0.080
C -4.41 -4.13 3.11 -0.285
O -4.29 -3.82 4.52 -0.126
H -3.03 -3.97 1.44 0.065
H -2.25 -3.79 2.98 0.079
H -3.21 -2.48 2.20 0.043
H -4.44 -5.22 3.10 0.101
H -5.33 -3.73 2.67 0.100
H -4.17 -2.85 4.59 0.036
C 6.06 4.97 -0.18 -0.097
C 4.81 4.13 -0.34 -0.352
O 4.78 3.15 0.68 -0.100
H 7.00 4.44 -0.28 0.063
H 5.94 5.29 0.87 0.070
H 5.96 5.86 -0.80 0.061
H 4.77 3.57 -1.29 0.100
H 3.93 4.78 -0.30 0.104
H 4.18 2.41 0.41 0.039
```

* * * * *

# 1
Here is 2 unconnected molecules or ions with the total composition C4H10OS2 from OMol25. Energies are from wB97M-V/def2-TZVPD.

SMILES: C1CSCSC1.O
Relative energy (zero: lowest compared OMol25 entry of this formula, charge and spin): 68.8 kJ/mol
Kohn-Sham gap: 9.49 eV

Geometry as XYZ:
```
17
Properties=species:S:1:pos:R:3:forces:R:3:nbo_charge:R:1
S 1.25482 -0.65982 -0.23371 -0.6 0.6 1.3 0.1836
S -1.51890 -1.90643 -1.12776 0.6 0.0 0.2 0.2317
C 0.25707 -1.60338 -1.39352 0.4 0.5 -1.2 -0.7121
C 0.14600 0.81872 0.02622 1.0 -0.2 -0.3 -0.5112